+++
Entry 1:
# SiO2 (PBE, relaxed)
# SG   No. 139
# Formation enthalpy at 0 K   -942 kJ/mol of formula units
data_SiO2
_chemical_formula_sum 'Si16 O32'
_cell_length_a 11.164
_cell_length_b 11.164
_cell_length_c 11.164
_cell_angle_alpha 101.64
_cell_angle_beta 101.64
_cell_angle_gamma 126.62
_symmetry_space_group_name_H-M 'P 1'
_symmetry_Int_Tables_number 1
loop_
_symmetry_equiv_pos_as_xyz
'x,y,z'
loop_
_atom_site_label
_atom_site_type_symbol
_atom_site_fract_x
_atom_site_fract_y
_atom_site_fract_z
O1 O 0.123 0.299 0.422
O2 O 0.812 0.057 0.245
O3 O 0.299 0.877 0.176
O4 O 0.986 0.986 0.343
O5 O 0.123 0.701 0.824
O6 O 0.014 0.014 0.657
O7 O 0.897 0.103 0.500
O8 O 0.986 0.644 0.000
O9 O 0.299 0.123 0.422
O10 O 0.603 0.103 0.206
O11 O 0.897 0.397 0.794
O12 O 0.103 0.603 0.206
O13 O 0.057 0.812 0.245
O14 O 0.877 0.299 0.176
O15 O 0.644 0.986 0.000
O16 O 0.877 0.701 0.578
O17 O 0.356 0.014 0.000
O18 O 0.356 0.356 0.343
O19 O 0.397 0.603 0.500
O20 O 0.188 0.943 0.755
O21 O 0.567 0.812 0.755
O22 O 0.812 0.567 0.755
O23 O 0.603 0.397 0.500
O24 O 0.014 0.356 0.000
O25 O 0.943 0.188 0.755
O26 O 0.644 0.644 0.657
O27 O 0.188 0.433 0.245
O28 O 0.701 0.877 0.578
O29 O 0.433 0.188 0.245
O30 O 0.701 0.123 0.824
O31 O 0.103 0.897 0.500
O32 O 0.397 0.897 0.794
Si1 Si 0.266 0.888 0.843
Si2 Si 0.888 0.266 0.843
Si3 Si 0.955 0.112 0.378
Si4 Si 0.045 0.422 0.157
Si5 Si 0.955 0.578 0.843
Si6 Si 0.112 0.955 0.378
Si7 Si 0.578 0.955 0.843
Si8 Si 0.734 0.112 0.157
Si9 Si 0.045 0.888 0.622
Si10 Si 0.422 0.266 0.378
Si11 Si 0.422 0.045 0.157
Si12 Si 0.112 0.734 0.157
Si13 Si 0.888 0.045 0.622
Si14 Si 0.578 0.734 0.622
Si15 Si 0.266 0.422 0.378
Si16 Si 0.734 0.578 0.622



Entry 2:
# Ca3CuRhO6 (PBE, relaxed)
# SG   No. 15
# Formation enthalpy at 0 K   -2445 kJ/mol of formula units
# Total magnetic moment   0.00 μB per formula unit
data_Ca3CuRhO6
_chemical_formula_sum 'Ca6 Cu2 Rh2 O12'
_cell_length_a 6.532
_cell_length_b 6.532
_cell_length_c 6.464
_cell_angle_alpha 89.75
_cell_angle_beta 89.75
_cell_angle_gamma 91.51
_symmetry_space_group_name_H-M 'P 1'
_symmetry_Int_Tables_number 1
loop_
_symmetry_equiv_pos_as_xyz
'x,y,z'
loop_
_atom_site_label
_atom_site_type_symbol
_atom_site_fract_x
_atom_site_fract_y
_atom_site_fract_z
O1 O 0.527 0.894 0.795
O2 O 0.209 0.080 0.566
O3 O 0.920 0.791 0.934
O4 O 0.707 0.393 0.958
O5 O 0.293 0.607 0.042
O6 O 0.791 0.920 0.434
O7 O 0.894 0.527 0.295
O8 O 0.106 0.473 0.705
O9 O 0.607 0.293 0.542
O10 O 0.473 0.106 0.205
O11 O 0.393 0.707 0.458
O12 O 0.080 0.209 0.066
Rh1 Rh 0.500 0.000 0.500
Rh2 Rh 0.000 0.500 0.000
Ca1 Ca 0.764 0.614 0.624
Ca2 Ca 0.386 0.236 0.876
Ca3 Ca 0.614 0.764 0.124
Ca4 Ca 0.236 0.386 0.376
Ca5 Ca 0.902 0.098 0.750
Ca6 Ca 0.098 0.902 0.250
Cu1 Cu 0.310 0.690 0.750
Cu2 Cu 0.690 0.310 0.250



Entry 3:
# Cu3Ag5P4O16 (PBE, relaxed)
# SG   No. 15
# Formation enthalpy at 0 K   -4470 kJ/mol of formula units
# Total magnetic moment   0.00 μB per formula unit
data_Cu3Ag5P4O16
_chemical_formula_sum 'Cu6 Ag10 P8 O32'
_cell_length_a 9.301
_cell_length_b 9.301
_cell_length_c 17.005
_cell_angle_alpha 66.12
_cell_angle_beta 66.12
_cell_angle_gamma 32.24
_symmetry_space_group_name_H-M 'P 1'
_symmetry_Int_Tables_number 1
loop_
_symmetry_equiv_pos_as_xyz
'x,y,z'
loop_
_atom_site_label
_atom_site_type_symbol
_atom_site_fract_x
_atom_site_fract_y
_atom_site_fract_z
P1 P 0.951 0.484 0.621
P2 P 0.181 0.804 0.602
P3 P 0.484 0.951 0.121
P4 P 0.819 0.196 0.398
P5 P 0.804 0.181 0.102
P6 P 0.516 0.049 0.879
P7 P 0.049 0.516 0.379
P8 P 0.196 0.819 0.898
O1 O 0.781 0.373 0.044
O2 O 0.360 0.801 0.923
O3 O 0.114 0.877 0.095
O4 O 0.373 0.781 0.544
O5 O 0.219 0.627 0.956
O6 O 0.361 0.200 0.050
O7 O 0.123 0.886 0.405
O8 O 0.800 0.639 0.450
O9 O 0.228 0.693 0.698
O10 O 0.587 0.988 0.788
O11 O 0.627 0.219 0.456
O12 O 0.901 0.360 0.623
O13 O 0.012 0.413 0.712
O14 O 0.801 0.698 0.098
O15 O 0.772 0.307 0.302
O16 O 0.886 0.123 0.905
O17 O 0.302 0.199 0.402
O18 O 0.099 0.640 0.377
O19 O 0.698 0.801 0.598
O20 O 0.801 0.360 0.423
+++
Your job: repeat the contents further above from the line with "0.897 0.103" to the end word for word.
O7 O 0.897 0.103 0.500
O8 O 0.986 0.644 0.000
O9 O 0.299 0.123 0.422
O10 O 0.603 0.103 0.206
O11 O 0.897 0.397 0.794
O12 O 0.103 0.603 0.206
O13 O 0.057 0.812 0.245
O14 O 0.877 0.299 0.176
O15 O 0.644 0.986 0.000
O16 O 0.877 0.701 0.578
O17 O 0.356 0.014 0.000
O18 O 0.356 0.356 0.343
O19 O 0.397 0.603 0.500
O20 O 0.188 0.943 0.755
O21 O 0.567 0.812 0.755
O22 O 0.812 0.567 0.755
O23 O 0.603 0.397 0.500
O24 O 0.014 0.356 0.000
O25 O 0.943 0.188 0.755
O26 O 0.644 0.644 0.657
O27 O 0.188 0.433 0.245
O28 O 0.701 0.877 0.578
O29 O 0.433 0.188 0.245
O30 O 0.701 0.123 0.824
O31 O 0.103 0.897 0.500
O32 O 0.397 0.897 0.794
Si1 Si 0.266 0.888 0.843
Si2 Si 0.888 0.266 0.843
Si3 Si 0.955 0.112 0.378
Si4 Si 0.045 0.422 0.157
Si5 Si 0.955 0.578 0.843
Si6 Si 0.112 0.955 0.378
Si7 Si 0.578 0.955 0.843
Si8 Si 0.734 0.112 0.157
Si9 Si 0.045 0.888 0.622
Si10 Si 0.422 0.266 0.378
Si11 Si 0.422 0.045 0.157
Si12 Si 0.112 0.734 0.157
Si13 Si 0.888 0.045 0.622
Si14 Si 0.578 0.734 0.622
Si15 Si 0.266 0.422 0.378
Si16 Si 0.734 0.578 0.622



Entry 2:
# Ca3CuRhO6 (PBE, relaxed)
# SG   No. 15
# Formation enthalpy at 0 K   -2445 kJ/mol of formula units
# Total magnetic moment   0.00 μB per formula unit
data_Ca3CuRhO6
_chemical_formula_sum 'Ca6 Cu2 Rh2 O12'
_cell_length_a 6.532
_cell_length_b 6.532
_cell_length_c 6.464
_cell_angle_alpha 89.75
_cell_angle_beta 89.75
_cell_angle_gamma 91.51
_symmetry_space_group_name_H-M 'P 1'
_symmetry_Int_Tables_number 1
loop_
_symmetry_equiv_pos_as_xyz
'x,y,z'
loop_
_atom_site_label
_atom_site_type_symbol
_atom_site_fract_x
_atom_site_fract_y
_atom_site_fract_z
O1 O 0.527 0.894 0.795
O2 O 0.209 0.080 0.566
O3 O 0.920 0.791 0.934
O4 O 0.707 0.393 0.958
O5 O 0.293 0.607 0.042
O6 O 0.791 0.920 0.434
O7 O 0.894 0.527 0.295
O8 O 0.106 0.473 0.705
O9 O 0.607 0.293 0.542
O10 O 0.473 0.106 0.205
O11 O 0.393 0.707 0.458
O12 O 0.080 0.209 0.066
Rh1 Rh 0.500 0.000 0.500
Rh2 Rh 0.000 0.500 0.000
Ca1 Ca 0.764 0.614 0.624
Ca2 Ca 0.386 0.236 0.876
Ca3 Ca 0.614 0.764 0.124
Ca4 Ca 0.236 0.386 0.376
Ca5 Ca 0.902 0.098 0.750
Ca6 Ca 0.098 0.902 0.250
Cu1 Cu 0.310 0.690 0.750
Cu2 Cu 0.690 0.310 0.250



Entry 3:
# Cu3Ag5P4O16 (PBE, relaxed)
# SG   No. 15
# Formation enthalpy at 0 K   -4470 kJ/mol of formula units
# Total magnetic moment   0.00 μB per formula unit
data_Cu3Ag5P4O16
_chemical_formula_sum 'Cu6 Ag10 P8 O32'
_cell_length_a 9.301
_cell_length_b 9.301
_cell_length_c 17.005
_cell_angle_alpha 66.12
_cell_angle_beta 66.12
_cell_angle_gamma 32.24
_symmetry_space_group_name_H-M 'P 1'
_symmetry_Int_Tables_number 1
loop_
_symmetry_equiv_pos_as_xyz
'x,y,z'
loop_
_atom_site_label
_atom_site_type_symbol
_atom_site_fract_x
_atom_site_fract_y
_atom_site_fract_z
P1 P 0.951 0.484 0.621
P2 P 0.181 0.804 0.602
P3 P 0.484 0.951 0.121
P4 P 0.819 0.196 0.398
P5 P 0.804 0.181 0.102
P6 P 0.516 0.049 0.879
P7 P 0.049 0.516 0.379
P8 P 0.196 0.819 0.898
O1 O 0.781 0.373 0.044
O2 O 0.360 0.801 0.923
O3 O 0.114 0.877 0.095
O4 O 0.373 0.781 0.544
O5 O 0.219 0.627 0.956
O6 O 0.361 0.200 0.050
O7 O 0.123 0.886 0.405
O8 O 0.800 0.639 0.450
O9 O 0.228 0.693 0.698
O10 O 0.587 0.988 0.788
O11 O 0.627 0.219 0.456
O12 O 0.901 0.360 0.623
O13 O 0.012 0.413 0.712
O14 O 0.801 0.698 0.098
O15 O 0.772 0.307 0.302
O16 O 0.886 0.123 0.905
O17 O 0.302 0.199 0.402
O18 O 0.099 0.640 0.377
O19 O 0.698 0.801 0.598
O20 O 0.801 0.360 0.423